File.
┌──
1.
# Gd2Mo3O12 (GGA+U, optimized geometry)
data_Gd2Mo3O12
_chemical_formula_sum 'Gd8 Mo12 O48'
_space_group_name_H-M_alt 'P 1'
_space_group_IT_number 1
_space_group_name_Hall 'P 1'
_cell_length_a 10.636
_cell_length_b 10.643
_cell_length_c 10.820
_cell_angle_alpha 90.00
_cell_angle_beta 90.00
_cell_angle_gamma 90.00
loop_
_atom_site_label
_atom_site_fract_x
_atom_site_fract_y
_atom_site_fract_z
Mo1 0.746 0.255 0.499
Mo2 0.707 0.006 0.855
Mo3 0.754 0.755 0.499
Mo4 0.793 0.506 0.855
Mo5 0.998 0.793 0.143
Mo6 0.002 0.207 0.143
Mo7 0.293 0.994 0.855
Mo8 0.502 0.293 0.143
Mo9 0.207 0.494 0.855
Mo10 0.246 0.245 0.499
Mo11 0.254 0.745 0.499
Mo12 0.498 0.707 0.143
O1 0.875 0.124 0.211
O2 0.126 0.627 0.796
O3 0.304 0.992 0.020
O4 0.823 0.638 0.400
O5 0.127 0.002 0.808
O6 0.362 0.316 0.597
O7 0.862 0.184 0.597
O8 0.356 0.850 0.798
O9 0.138 0.816 0.597
O10 0.874 0.373 0.796
O11 0.627 0.324 0.594
O12 0.856 0.650 0.798
O13 0.374 0.127 0.796
O14 0.373 0.676 0.594
O15 0.183 0.627 0.404
O16 0.644 0.150 0.798
O17 0.873 0.998 0.808
O18 0.196 0.492 0.020
O19 0.177 0.362 0.400
O20 0.817 0.373 0.404
O21 0.489 0.304 0.979
O22 0.996 0.373 0.191
O23 0.373 0.502 0.808
O24 0.683 0.873 0.404
O25 0.151 0.146 0.190
O26 0.849 0.854 0.190
O27 0.625 0.624 0.211
O28 0.873 0.824 0.594
O29 0.504 0.873 0.191
O30 0.989 0.196 0.979
O31 0.317 0.127 0.404
O32 0.004 0.627 0.191
O33 0.638 0.684 0.597
O34 0.323 0.862 0.400
O35 0.627 0.498 0.808
O36 0.011 0.804 0.979
O37 0.375 0.376 0.211
O38 0.626 0.873 0.796
O39 0.125 0.876 0.211
O40 0.511 0.696 0.979
O41 0.496 0.127 0.191
O42 0.804 0.508 0.020
O43 0.651 0.354 0.190
O44 0.127 0.176 0.594
O45 0.144 0.350 0.798
O46 0.677 0.138 0.400
O47 0.349 0.646 0.190
O48 0.696 0.008 0.020
Gd1 0.689 0.003 0.236
Gd2 0.497 0.311 0.762
Gd3 0.811 0.503 0.236
Gd4 0.311 0.997 0.236
Gd5 0.189 0.497 0.236
Gd6 0.997 0.189 0.762
Gd7 0.003 0.811 0.762
Gd8 0.503 0.689 0.762
# * volume: 1224.8 Å³ per cell
# * distance to the lowest polymorph of the same formula: 0 meV per atom
# * E_form: -2.636 eV per atom
# * SG: Pba2

***

2.
# Ho2FeSbO7 (GGA+U, optimized geometry)
data_Ho2FeSbO7
_chemical_formula_sum 'Ho4 Fe2 Sb2 O14'
_space_group_name_H-M_alt 'P 1'
_space_group_IT_number 1
_space_group_name_Hall 'P 1'
_cell_length_a 7.284
_cell_length_b 7.284
_cell_length_c 7.284
_cell_angle_alpha 120.43
_cell_angle_beta 119.43
_cell_angle_gamma 90.12
loop_
_atom_site_label
_atom_site_fract_x
_atom_site_fract_y
_atom_site_fract_z
Fe1 0.000 0.000 0.500
Fe2 0.000 0.500 0.000
O1 0.910 0.168 0.328
O2 0.667 0.417 0.250
O3 0.090 0.832 0.672
O4 0.910 0.160 0.750
O5 0.660 0.832 0.242
O6 0.340 0.581 0.172
O7 0.090 0.419 0.258
O8 0.340 0.168 0.758
O9 0.333 0.583 0.750
O10 0.910 0.581 0.742
O11 0.377 0.127 0.250
O12 0.623 0.873 0.750
O13 0.090 0.840 0.250
O14 0.660 0.419 0.828
Ho1 0.500 0.000 0.500
Ho2 0.500 0.500 0.500
Ho3 0.000 0.000 0.000
Ho4 0.500 0.000 0.000
Sb1 0.500 0.500 0.000
Sb2 0.000 0.500 0.500
# * volume: 273.5 Å³ per cell
# * E_form: -2.751 eV per atom
# * SG: Imma

***

3.
# LiCoC2O6 (GGA+U, optimized geometry)
data_LiCoC2O6
_chemical_formula_sum 'Li4 Co4 C8 O24'
_space_group_name_H-M_alt 'P 1'
_space_group_IT_number 1
_space_group_name_Hall 'P 1'
_cell_length_a 4.673
_cell_length_b 5.768
_cell_length_c 15.779
_cell_angle_alpha 97.11
_cell_angle_beta 81.55
_cell_angle_gamma 113.77
loop_
_atom_site_label
_atom_site_fract_x
_atom_site_fract_y
_atom_site_fract_z
O1 0.986 0.147 0.879
O2 0.479 0.895 0.629
O3 0.990 0.646 0.381
O4 0.020 0.357 0.623
O5 0.504 0.751 0.491
O6 0.009 0.857 0.120
O7 0.513 0.106 0.371
O8 0.407 0.577 0.314
O9 0.997 0.004 0.740
O10 0.001 0.995 0.259
O11 0.501 0.244 0.510
O12 0.095 0.175 0.436
O13 0.909 0.834 0.567
O14 0.511 0.266 0.987
O15 0.998 0.506 0.242
O16 0.511 0.601 0.870
O17 0.988 0.485 0.762
O18 0.913 0.326 0.062
O19 0.093 0.672 0.935
O20 0.502 0.751 0.008
O21 0.590 0.923 0.188
O22 0.587 0.416 0.685
O23 0.485 0.386 0.127
O24 0.405 0.078 0.813
C1 0.641 0.329 0.059
C2 0.866 0.925 0.189
C3 0.862 0.417 0.690
C4 0.369 0.673 0.938
└──
Exercise.
It remains to search the data above for the word "data_Gd2Mo3O12" and return each line that has it.
Completed.
data_Gd2Mo3O12